File:
____________
Record 1
The following is a quantum chemistry calculation of a 3-piece molecular cluster, C29H28F10N3O6S overall in a non-equilibrium geometry, from the OMol25 dataset.

Each line ends with the Mulliken charge.
Geometry (Å):
C -2.523 3.634 -0.791  -0.62
C -1.426 3.425 0.457  -0.50
C -1.386 1.885 1.033  0.40
C 0.126 1.170 0.955  0.47
C 1.490 1.952 0.412  -0.33
O 1.722 2.047 -0.912  -0.38
O 2.463 2.555 1.377  -0.14
N 3.492 1.694 1.593  -0.56
C 3.376 1.247 2.910  0.77
C 4.068 -0.144 3.450  -0.95
C 2.479 2.125 3.983  -0.76
C 0.180 -0.369 1.510  0.28
N 1.536 -1.070 1.457  -0.39
C -1.203 -1.111 2.096  0.28
C -0.887 -2.615 2.671  -0.79
C -1.283 -2.590 4.300  -0.47
O -1.246 -1.204 4.854  -0.31
C 0.047 -0.998 5.579  0.24
O 0.135 -0.439 6.805  -0.48
N -2.593 -0.430 2.108  0.34
C -3.848 -1.181 2.594  0.60
F -4.155 -0.912 4.037  -0.19
F -3.832 -2.653 2.470  -0.24
F -5.048 -0.939 1.697  -0.21
C -2.708 1.055 1.645  -0.20
S -4.303 2.064 1.737  1.11
O -4.084 3.599 2.039  -0.53
O -5.143 1.695 3.034  -0.58
C -5.474 1.939 0.330  0.55
F -6.749 1.292 0.827  -0.23
F -5.913 3.346 -0.017  -0.22
C -5.087 1.226 -1.046  0.53
F -5.048 2.280 -2.128  -0.23
F -3.903 0.374 -1.132  -0.15
F -6.254 0.351 -1.450  -0.25
H -2.644 2.595 -1.312  0.11
H -2.043 4.364 -1.602  0.38
H -3.517 4.141 -0.446  0.16
H -1.651 4.162 1.369  0.41
H -0.430 3.821 -0.001  0.35
H 3.274 -0.933 3.792  0.10
H 4.728 0.116 4.381  0.39
H 4.747 -0.659 2.630  0.29
H 2.728 1.717 5.059  0.33
H 1.314 2.028 3.750  0.12
H 2.816 3.251 3.932  0.32
H 2.179 -0.665 0.749  0.15
H 1.298 -2.021 1.039  0.38
H -1.463 -3.486 2.092  0.38
H 0.229 -2.942 2.679  0.33
H -0.483 -3.228 4.895  0.47
H -2.323 -3.128 4.484  0.27
H 1.095 -1.288 5.085  0.27
F 3.340 -2.202 -0.036  -0.34
C 3.705 -2.146 -1.324  0.56
C 3.851 -0.908 -1.940  -0.23
C 4.236 -0.849 -3.280  -0.69
C 4.461 -2.030 -3.991  -0.55
C 4.307 -3.268 -3.365  -0.52
C 3.933 -3.326 -2.023  -0.48
H 3.664 -0.001 -1.374  0.49
H 4.360 0.114 -3.769  0.45
H 4.757 -1.983 -5.037  0.43
H 4.479 -4.185 -3.922  0.38
H 3.817 -4.280 -1.518  0.42
F 2.794 0.521 -6.254  -0.32
C 1.583 -0.030 -6.106  0.22
C 1.028 -0.754 -7.156  -0.44
C -0.232 -1.333 -7.001  -0.39
C -0.928 -1.172 -5.800  -0.47
C -0.365 -0.439 -4.754  -0.43
C 0.899 0.130 -4.906  -0.23
H 1.580 -0.862 -8.084  0.42
H -0.671 -1.907 -7.813  0.37
H -1.912 -1.619 -5.682  0.37
H -0.910 -0.312 -3.822  0.44
H 1.356 0.695 -4.100  0.49

Properties
charge = +1
max |F| = 11.50 eV/Å
gap between HOMO and LUMO = 4.42 eV
LUMO level = -6.66 eV



Record 2
The following is a quantum chemistry calculation of C20H23Cl2N3O4S in the gas phase in a non-equilibrium geometry, from the OMol25 dataset.

Each line ends with the Mulliken charge.
Geometry (Å):
C -7.152 -3.892 0.158  -0.82
H -7.605 -3.552 1.095  0.33
O -7.053 -2.846 -0.777  -0.45
C -6.289 -1.763 -0.462  0.69
C -5.592 -1.592 0.728  -0.30
C -4.843 -0.449 0.948  -0.71
C -4.776 0.545 -0.019  0.43
C -5.475 0.374 -1.213  -0.56
C -6.221 -0.762 -1.432  -0.70
H -6.764 -0.901 -2.354  0.41
H -5.432 1.140 -1.976  0.31
N -4.034 1.723 0.144  0.02
C -3.274 2.122 1.198  0.38
O -3.158 1.506 2.236  -0.65
C -2.590 3.460 0.954  -1.10
C -1.567 3.458 -0.192  -0.63
N -0.264 2.994 0.248  0.01
C 0.783 3.355 -0.694  -0.59
C 2.144 2.983 -0.112  -1.09
N 2.210 1.568 0.184  0.23
S 2.495 0.564 -1.120  1.45
O 1.305 -0.070 -1.612  -0.70
O 3.320 1.258 -2.060  -0.71
C 3.471 -0.716 -0.308  -0.28
C 3.011 -2.018 -0.323  -0.33
C 3.762 -3.012 0.288  0.11
C 4.966 -2.703 0.908  -0.46
C 5.421 -1.397 0.920  -0.60
C 4.670 -0.398 0.310  0.29
Cl 5.210 1.221 0.316  -0.16
H 6.354 -1.145 1.397  0.43
H 5.544 -3.483 1.377  0.43
Cl 3.197 -4.636 0.277  -0.21
H 2.076 -2.229 -0.819  0.57
C 1.123 1.140 1.039  -1.56
C -0.240 1.558 0.490  0.11
H -0.437 0.993 -0.436  0.25
H -1.000 1.310 1.229  0.27
H 1.282 1.590 2.023  0.52
H 1.174 0.054 1.126  0.37
H 2.317 3.528 0.820  0.38
H 2.937 3.205 -0.825  0.48
H 0.663 2.832 -1.661  0.33
H 0.744 4.433 -0.869  0.48
H -1.939 2.864 -1.047  0.42
H -1.439 4.489 -0.534  0.45
H -3.363 4.201 0.737  0.46
____________
Work order:
Transcribe the data further above from the line with "6.805" to the end without altering anything.
Written answer:
O 0.135 -0.439 6.805  -0.48
N -2.593 -0.430 2.108  0.34
C -3.848 -1.181 2.594  0.60
F -4.155 -0.912 4.037  -0.19
F -3.832 -2.653 2.470  -0.24
F -5.048 -0.939 1.697  -0.21
C -2.708 1.055 1.645  -0.20
S -4.303 2.064 1.737  1.11
O -4.084 3.599 2.039  -0.53
O -5.143 1.695 3.034  -0.58
C -5.474 1.939 0.330  0.55
F -6.749 1.292 0.827  -0.23
F -5.913 3.346 -0.017  -0.22
C -5.087 1.226 -1.046  0.53
F -5.048 2.280 -2.128  -0.23
F -3.903 0.374 -1.132  -0.15
F -6.254 0.351 -1.450  -0.25
H -2.644 2.595 -1.312  0.11
H -2.043 4.364 -1.602  0.38
H -3.517 4.141 -0.446  0.16
H -1.651 4.162 1.369  0.41
H -0.430 3.821 -0.001  0.35
H 3.274 -0.933 3.792  0.10
H 4.728 0.116 4.381  0.39
H 4.747 -0.659 2.630  0.29
H 2.728 1.717 5.059  0.33
H 1.314 2.028 3.750  0.12
H 2.816 3.251 3.932  0.32
H 2.179 -0.665 0.749  0.15
H 1.298 -2.021 1.039  0.38
H -1.463 -3.486 2.092  0.38
H 0.229 -2.942 2.679  0.33
H -0.483 -3.228 4.895  0.47
H -2.323 -3.128 4.484  0.27
H 1.095 -1.288 5.085  0.27
F 3.340 -2.202 -0.036  -0.34
C 3.705 -2.146 -1.324  0.56
C 3.851 -0.908 -1.940  -0.23
C 4.236 -0.849 -3.280  -0.69
C 4.461 -2.030 -3.991  -0.55
C 4.307 -3.268 -3.365  -0.52
C 3.933 -3.326 -2.023  -0.48
H 3.664 -0.001 -1.374  0.49
H 4.360 0.114 -3.769  0.45
H 4.757 -1.983 -5.037  0.43
H 4.479 -4.185 -3.922  0.38
H 3.817 -4.280 -1.518  0.42
F 2.794 0.521 -6.254  -0.32
C 1.583 -0.030 -6.106  0.22
C 1.028 -0.754 -7.156  -0.44
C -0.232 -1.333 -7.001  -0.39
C -0.928 -1.172 -5.800  -0.47
C -0.365 -0.439 -4.754  -0.43
C 0.899 0.130 -4.906  -0.23
H 1.580 -0.862 -8.084  0.42
H -0.671 -1.907 -7.813  0.37
H -1.912 -1.619 -5.682  0.37
H -0.910 -0.312 -3.822  0.44
H 1.356 0.695 -4.100  0.49

Properties
charge = +1
max |F| = 11.50 eV/Å
gap between HOMO and LUMO = 4.42 eV
LUMO level = -6.66 eV



Record 2
The following is a quantum chemistry calculation of C20H23Cl2N3O4S in the gas phase in a non-equilibrium geometry, from the OMol25 dataset.

Each line ends with the Mulliken charge.
Geometry (Å):
C -7.152 -3.892 0.158  -0.82
H -7.605 -3.552 1.095  0.33
O -7.053 -2.846 -0.777  -0.45
C -6.289 -1.763 -0.462  0.69
C -5.592 -1.592 0.728  -0.30
C -4.843 -0.449 0.948  -0.71
C -4.776 0.545 -0.019  0.43
C -5.475 0.374 -1.213  -0.56
C -6.221 -0.762 -1.432  -0.70
H -6.764 -0.901 -2.354  0.41
H -5.432 1.140 -1.976  0.31
N -4.034 1.723 0.144  0.02
C -3.274 2.122 1.198  0.38
O -3.158 1.506 2.236  -0.65
C -2.590 3.460 0.954  -1.10
C -1.567 3.458 -0.192  -0.63
N -0.264 2.994 0.248  0.01
C 0.783 3.355 -0.694  -0.59
C 2.144 2.983 -0.112  -1.09
N 2.210 1.568 0.184  0.23
S 2.495 0.564 -1.120  1.45
O 1.305 -0.070 -1.612  -0.70
O 3.320 1.258 -2.060  -0.71
C 3.471 -0.716 -0.308  -0.28
C 3.011 -2.018 -0.323  -0.33
C 3.762 -3.012 0.288  0.11
C 4.966 -2.703 0.908  -0.46
C 5.421 -1.397 0.920  -0.60
C 4.670 -0.398 0.310  0.29
Cl 5.210 1.221 0.316  -0.16
H 6.354 -1.145 1.397  0.43
H 5.544 -3.483 1.377  0.43
Cl 3.197 -4.636 0.277  -0.21
H 2.076 -2.229 -0.819  0.57
C 1.123 1.140 1.039  -1.56
C -0.240 1.558 0.490  0.11
H -0.437 0.993 -0.436  0.25
H -1.000 1.310 1.229  0.27
H 1.282 1.590 2.023  0.52
H 1.174 0.054 1.126  0.37
H 2.317 3.528 0.820  0.38
H 2.937 3.205 -0.825  0.48
H 0.663 2.832 -1.661  0.33
H 0.744 4.433 -0.869  0.48
H -1.939 2.864 -1.047  0.42
H -1.439 4.489 -0.534  0.45
H -3.363 4.201 0.737  0.46